Article Rich Health Covid 19: What you Can Do to Fight the Virus

Covid 19: What you Can Do to Fight the Virus

One thing we can all agree on, 2020 is definitely a year that saw the onset of a global pandemic, and while the virus was first discovered in 2019, by the time it had spread around the world, we were already into 2020. Governments around the world are listening to the scientists when planning their response and this is the most effective strategy, as the scientists know a lot about infectious viruses and how to limit the spread.

┌──
Record 1
A plane-wave DFT calculation with PBE was carried out for a relaxed structure of ZrHgTe2.

Geometry as CIF:
```
data_ZrHgTe2
_chemical_formula_sum 'Zr4 Hg4 Te8'
_cell_length_a 25.322
_cell_length_b 4.001
_cell_length_c 8.354
_cell_angle_alpha 90.00
_cell_angle_beta 148.99
_cell_angle_gamma 90.00
_space_group_name_H-M_alt 'P 1'
_space_group_IT_number 1
loop_
_space_group_symop_operation_xyz
'x,y,z'
loop_
_atom_site_label
_atom_site_type_symbol
_atom_site_fract_x
_atom_site_fract_y
_atom_site_fract_z
Zr1 Zr 0.811 0.250 0.662
Zr2 Zr 0.189 0.750 0.338
Zr3 Zr 0.689 0.750 0.838
Zr4 Zr 0.311 0.250 0.162
Te1 Te 0.337 0.250 0.597
Te2 Te 0.663 0.750 0.403
Te3 Te 0.139 0.250 0.460
Te4 Te 0.361 0.750 0.040
Te5 Te 0.837 0.250 0.097
Te6 Te 0.861 0.750 0.540
Te7 Te 0.639 0.250 0.960
Te8 Te 0.163 0.750 0.903
Hg1 Hg 0.973 0.750 0.202
Hg2 Hg 0.473 0.750 0.702
Hg3 Hg 0.027 0.250 0.798
Hg4 Hg 0.527 0.250 0.298
```

Computed properties:
Total energy: -4.34 eV per atom
Symmetry: P2_1/m
Crystal system: monoclinic

***

Record 2
A plane-wave DFT calculation with PBE was carried out for a relaxed structure of Zr2Hg2Te.

Geometry as CIF:
```
data_Zr2Hg2Te
_chemical_formula_sum 'Zr2 Hg2 Te1'
_cell_length_a 3.937
_cell_length_b 3.937
_cell_length_c 8.313
_cell_angle_alpha 76.30
_cell_angle_beta 76.30
_cell_angle_gamma 90.00
_space_group_name_H-M_alt 'P 1'
_space_group_IT_number 1
loop_
_space_group_symop_operation_xyz
'x,y,z'
loop_
_atom_site_label
_atom_site_type_symbol
_atom_site_fract_x
_atom_site_fract_y
_atom_site_fract_z
Zr1 Zr 0.596 0.596 0.808
Zr2 Zr 0.404 0.404 0.192
Hg1 Hg 0.750 0.250 0.500
Hg2 Hg 0.250 0.750 0.500
Te1 Te 0.000 0.000 0.000
```

Computed properties:
Total energy: -4.26 eV per atom
Symmetry: I4/mmm
Crystal system: tetragonal

***

Record 3
A plane-wave DFT calculation with PBE was carried out for a relaxed structure of Zr2HgTe.

Geometry as CIF:
```
data_Zr2HgTe
_chemical_formula_sum 'Zr2 Hg1 Te1'
_cell_length_a 3.518
_cell_length_b 3.520
_cell_length_c 8.056
_cell_angle_alpha 64.01
_cell_angle_beta 90.00
_cell_angle_gamma 90.00
_space_group_name_H-M_alt 'P 1'
_space_group_IT_number 1
loop_
_space_group_symop_operation_xyz
'x,y,z'
loop_
_atom_site_label
_atom_site_type_symbol
_atom_site_fract_x
_atom_site_fract_y
_atom_site_fract_z
Zr1 Zr 0.000 0.014 0.986
Zr2 Zr 0.000 0.486 0.514
Te1 Te 0.500 0.750 0.750
Hg1 Hg 0.500 0.250 0.250
```

Computed properties:
Total energy: -5.49 eV per atom
Symmetry: P2/m
Crystal system: monoclinic

***

Record 4
A plane-wave DFT calculation with PBE was carried out for a relaxed structure of ZrHg2Te.

Geometry as CIF:
```
data_ZrHg2Te
_chemical_formula_sum 'Zr1 Hg2 Te1'
_cell_length_a 3.752
_cell_length_b 3.733
_cell_length_c 7.816
_cell_angle_alpha 61.47
_cell_angle_beta 90.00
_cell_angle_gamma 90.00
_space_group_name_H-M_alt 'P 1'
_space_group_IT_number 1
loop_
_space_group_symop_operation_xyz
'x,y,z'
loop_
_atom_site_label
_atom_site_type_symbol
_atom_site_fract_x
_atom_site_fract_y
_atom_site_fract_z
└──

Here are a few things that you can do to help the global fight against covid-19.

  • Stay at home – Aside from a short daily exercise session and a grocery shop, you should stay in your home and avoid contact with others, especially non-family members. Yes, it can be challenging to stay at home, yet there are things you can do to keep yourself amused, and the Internet is always there for some exterior stimulation.
  • Wear PPE – When out and about, you will no doubt see PPE vending machines that are installed in parks and shopping malls, which provide you with a safe supply of quality face masks, gloves, bacterial wipes and hand sanitiser. In many countries, you will be fined if you leave your home without PPE, such is the importance, so do make sure that you always have a few sets of PPE at home, ready for use.
  • Social Distancing – This has been proven to be a very effective strategy to slow down the spread of the virus, so do keep at least 2 metres away from others when out and about.  Most people are aware and observe social distancing rules, and there will always be a few people that cause problems. Of course, it is your responsibility to educate your children regarding social distancing practices, and there are many free resources online to help you with this.
  • Share Accurate Information – Obviously, you will spend a lot of time online, and when you see covid-related data that you are sure is correct, you should share this. It is important that you research the information before sharing, as spreading an untruth could be very damaging, so we must all adopt a level of responsibility regarding the spread of covid-19 information.
  • Helping Others – If you have time on your hands, you could offer your services online. Old people would love to have someone do their shopping and leave it on their front doorstep, or you could offer to cut someone’s lawn or tidy up their garden. The elderly are especially at risk with covid-19 and anything that we can do to protect an old person is going to be helpful, so if you have free time, please offer to help others.

If we all unite and work together, we can beat this virus, and with the manufacturing industry hard at work to make PPE kits and caring people who are ready to help others, we can win this war and return to a life of normality.